
Development log of a life-long coder

WebAssembly overview



I first heard of Emscripten in the mid-2010s. At the time, you could compile C code to an optimizability-focused subset of JavaScript known as asm.js. This meant that, given the source code to a native app and appropriate implementations of system APIs, you could run formerly native-only programs in the browser--convenient, if you don't want to install anything.

Enter WebAssembly

........
Entry 1:
# C5H10N2O3P

A molecular structure, C5H10N2O3P in a non-equilibrium geometry (ωB97M-V/def2-TZVPD, the OMol25 dataset).

Output
LUMO energy: -3.617 eV
HOMO-LUMO gap: 0.39669 hartree
ΔE to the lowest compared entry with this formula, charge and spin: 6.3 kcal/mol

Structure (ORCA input):
```
! wB97M-V def2-TZVPD RIJCOSX def2/J DEFGRID3
* xyz 1 1
C -3.679 -0.633 0.620
C 0.735 0.067 -0.424
C 2.981 -0.564 -0.994
C 2.580 1.103 0.754
C -2.445 -0.669 1.193
N -4.715 -0.607 0.072
N 1.984 0.211 -0.226
O -2.423 1.802 -0.372
O -0.170 0.609 0.282
O -1.538 -0.444 -1.524
P -1.748 0.482 -0.412
H 0.383 -0.644 -1.353
H 3.811 0.200 -1.182
H 3.241 -1.398 -0.209
H 2.464 -1.017 -1.855
H 3.193 1.798 0.113
H 1.799 1.489 1.399
H 3.075 0.460 1.502
H -1.910 -1.601 1.149
H -2.327 -0.029 2.192
H -5.293 -0.617 -0.726
*
```

***

Entry 2:
# C40H37BF3N3O5S

A molecular structure, C40H37BF3N3O5S in a non-equilibrium geometry (ωB97M-V/def2-TZVPD, the OMol25 dataset).

Output
LUMO energy: -0.982 eV
HOMO-LUMO gap: 0.24416 hartree
ΔE to the lowest compared entry with this formula, charge and spin: 36.8 kcal/mol

Structure (ORCA input):
```
! wB97M-V def2-TZVPD RIJCOSX def2/J DEFGRID3
* xyz 0 1
C -2.092 5.691 1.056
N -2.005 4.248 1.032
C -3.128 3.469 1.142
O -4.276 3.866 1.285
C -2.676 1.999 1.056
C -3.430 1.165 0.038
C -4.924 1.104 0.252
C -5.797 1.375 -0.804
C -7.173 1.366 -0.588
C -7.674 1.052 0.686
C -6.791 0.733 1.730
C -5.414 0.739 1.507
N -1.268 2.142 0.733
C -0.489 1.030 0.605
C 0.670 0.936 -0.104
C 1.787 0.065 0.342
C 3.169 0.544 -0.131
C 4.248 -0.268 -0.545
C 5.562 0.107 -0.279
C 5.800 1.427 0.157
N 7.104 1.821 0.595
O 7.275 3.004 0.981
O 8.019 0.965 0.585
C 4.757 2.348 0.278
C 3.454 1.916 0.068
C -0.812 3.542 0.594
C -0.463 3.918 -0.860
C 0.376 3.838 1.528
H -3.111 5.997 1.304
H -1.407 6.093 1.808
H -1.826 6.100 0.077
H -2.832 1.554 2.060
H -3.219 1.522 -0.981
H -3.018 0.148 0.092
H -5.383 1.611 -1.784
H -7.853 1.613 -1.405
H -8.756 1.055 0.866
H -7.170 0.491 2.724
H -4.709 0.489 2.300
H -0.867 0.140 1.121
H 0.826 1.543 -0.965
H 1.813 0.270 1.452
H 4.087 -1.223 -1.027
H 6.409 -0.568 -0.353
H 4.994 3.369 0.585
H 2.637 2.640 0.194
H -1.283 3.635 -1.540
H -0.325 5.009 -0.920
H 0.467 3.439 -1.189
H 0.062 3.721 2.573
H 1.184 3.135 1.314
H 0.722 4.865 1.363
C 2.234 -6.545 -3.009
C 1.456 -5.491 -2.316
C 0.506 -5.676 -1.309
C 0.019 -4.449 -0.820
C 0.568 -3.331 -1.447
B 1.685 -1.438 0.692
C 0.173 -1.981 -1.254
C 0.617 -1.022 -2.182
C -0.357 -0.398 -2.937
C -1.694 -0.568 -2.575
C -2.740 0.148 -3.363
F -4.007 -0.257 -3.051
F -2.689 1.505 -3.124
F -2.603 -0.007 -4.701
C -2.085 -1.327 -1.480
C -1.091 -1.791 -0.628
O 1.027 -2.113 1.762
C 2.029 -2.947 2.219
C 3.121 -2.919 1.333
C 4.417 -3.152 1.735
C 4.566 -3.564 3.067
C 3.463 -3.724 3.909
C 2.157 -3.387 3.506
O 2.725 -2.270 0.197
S 1.813 -3.816 -2.578
H 1.771 -7.525 -2.883
H 2.283 -6.333 -4.078
H 3.239 -6.583 -2.574
H 0.122 -6.662 -1.017
H -0.743 -4.370 -0.046
H 1.676 -0.898 -2.395
H -0.089 0.206 -3.796
H -3.140 -1.515 -1.271
........

In the intervening years, WebAssembly appeared. WebAssembly is a binary format for programs that run on a portable virtual machine. This VM can be hosted in your browser, but non-browser runtimes have also sprung up (e.g. wasmtime).

WebAssembly, to me, seems like the Holy Grail of compilation targets. I wouldn't be surprised if, thanks to browser support, WebAssembly is the most broadly supported binary program format. What other binary format works on my desktop, phone, Raspberry Pi?

Note that WebAssembly runtimes seem to be standardizing on an in-development system interface named WASI. You probably can't write a GUI app solely with WebAssembly and WASI today, but I'm sure that day is coming (in the distant future).

Misplaced records of molecules
=====
# 1
DFT (ωB97M-V with the def2-TZVPD basis set) results for a single C17H23ClF3IN3O6PS2 molecule.

Values from the calculation:
E, eV: -94490.4012
Multiplicity: 1
M, g/mol: 679.85

Element x y z (Å)
H 1.17 1.64 0.71
C 1.73 0.35 2.89
C 2.14 1.55 0.25
H 2.69 2.46 0.48
C -2.72 -1.10 0.66
C -2.63 3.10 -1.91
C -1.66 4.57 -0.40
H 0.51 -4.28 -1.33
H -1.79 -2.90 -2.31
H -0.80 0.84 1.58
O -3.62 1.44 0.03
N 2.16 -0.45 1.74
H 3.37 -1.33 3.21
F -0.59 3.93 0.02
H 2.85 -3.64 2.74
H -2.69 -2.17 0.47
H 3.88 0.65 1.21
Cl 1.79 3.84 3.12
C -2.14 -0.80 2.08
C -2.00 1.76 -1.65
F -2.69 4.25 0.36
C -2.56 0.97 -0.68
C -0.76 -0.18 1.97
C 2.24 -2.90 2.24
F -1.44 5.86 -0.33
I -0.09 2.57 -3.79
H -3.77 -0.84 0.63
H -2.79 -0.13 2.63
C -2.04 -0.31 -0.40
N -0.97 -0.75 -1.08
H 2.08 -3.26 1.22
H 1.29 -2.81 2.75
H -4.42 0.97 -0.22
P 1.09 -0.53 -3.08
H 3.15 -0.31 -0.07
S 2.54 1.56 3.56
H -0.73 -2.39 0.25
O -1.90 4.25 -1.73
H 2.09 1.49 -0.84
C -0.90 -3.13 -1.73
H 3.81 -1.69 1.51
C -0.38 0.01 -2.08
S 0.12 -0.11 3.53
O 0.60 -0.60 -4.57
N -0.31 -4.22 -1.94
O 1.57 -2.01 -2.77
O 2.18 0.41 -2.85
C -0.43 -2.08 -0.74
H 2.38 -1.91 -2.26
C 2.99 -1.58 2.22
O -3.73 3.15 -2.31
C -0.89 1.27 -2.35
H -2.11 -1.72 2.65
H 0.65 -1.98 -0.70
H -0.33 -0.36 -4.68
H -0.12 -0.76 1.32
C 2.92 0.35 0.77
=====
Back to the text

One note on Emscripten

If you just want to port native programs to the browser, Emscripten is an environment for doing that. It even converts OpenGL to WebGL and handles the SDL API. Unfortunately, just installing Emscripten requires Python. For now, I refuse to setup bloated software just to install the software I actually want, so I'm skipping Emscripten.

WebAssembly concepts

Records of molecules, kept here for reference:
........
1.
9
Properties=species:S:1:pos:R:3:forces:R:3 method="wB97M-V/def2-TZVPD" multiplicity=1 total_energy_ev=-6254.11071 largest_force_ev_per_a=2.41 homo_ev="-8.261 / -8.274" e_above_lowest_ev=5.269
C -0.850321 1.278298 -0.514133 0.92 -0.68 -1.43
C 0.127865 0.495082 0.159959 -1.52 0.74 0.89
C 1.652241 0.076085 -0.023007 0.15 0.18 -1.67
C 0.610469 -0.845788 -0.431342 2.04 0.17 1.27
O 2.752572 0.508639 -0.049408 -1.02 -0.19 0.59
H -1.407758 2.040346 0.028201 0.43 0.02 0.76
H 0.060976 0.420179 1.213274 -0.08 0.07 1.60
H 0.552741 -1.827275 0.067363 -0.58 0.61 -0.51
H 0.582918 -0.654738 -1.470500 -0.34 -0.90 -1.50



2.
12
Properties=species:S:1:pos:R:3:forces:R:3 method="wB97M-V/def2-TZVPD" multiplicity=1 total_energy_ev=-9239.92511 largest_force_ev_per_a=4.39 homo_ev="-8.802 / -9.993" e_above_lowest_ev=7.392
C 0.730441 1.315736 -1.588871 -2.17 -1.20 0.64
C -0.409171 -1.811692 1.210445 -2.56 1.22 0.20
N 0.015929 1.785606 -0.443610 -0.73 1.22 0.05
N -0.391292 1.029048 0.388057 1.40 -2.46 -1.75
O -0.897484 1.006058 1.426913 -1.49 0.84 2.39
O 0.121083 -1.192637 0.159129 1.31 1.29 -0.73
H 1.501074 1.932921 -1.661902 3.58 2.47 -0.63
H 0.218376 1.285012 -2.492482 -1.74 1.02 -1.51
H 1.000377 0.326468 -1.583013 1.12 -2.50 1.12
H -1.096809 -2.557331 0.738723 0.02 0.08 1.35
H -1.014366 -0.983588 1.827766 0.33 -1.31 -1.19
H 0.221842 -2.135601 2.018846 0.93 -0.67 0.05



3.
51
Properties=species:S:1:pos:R:3:forces:R:3 method="wB97M-V/def2-TZVPD" multiplicity=1 charge=+1 total_energy_ev=-22015.22252 largest_force_ev_per_a=1.27 homo_ev=-9.929
C 1.076734 -1.829808 3.570483 -0.69 0.12 0.45
O 0.160307 -1.158459 2.709063 0.34 -0.69 -0.11
C 0.527147 -1.113931 1.339588 -0.86 0.80 -0.33
C -0.583819 -1.627926 0.444470 0.63 -0.31 -0.38
C -0.727717 -3.145089 0.437165 -0.10 0.07 0.69
C -1.507511 -3.770427 1.621660 -0.20 0.13 -0.95
C -2.458288 -2.873397 2.375093 0.63 -0.26 -0.16
N -3.751821 -2.582816 1.611032 -0.97 -0.59 0.48
C -4.165837 -1.343825 1.900842 -0.26 0.75 -0.65
N -4.927473 -1.023200 3.003761 0.48 0.08 0.89
N -3.851064 -0.359946 1.044012 0.12 -0.03 -0.01
H 1.575552 -1.102025 4.203708 0.39 0.04 -0.09
H 1.771442 -2.475169 3.043766 0.23 0.13 -0.21
H 0.498702 -2.468468 4.236830 -0.11 -0.10 0.09
H 1.436879 -1.654789 1.090456 0.26 -0.06 0.36
H 0.649237 -0.063927 1.070986 0.43 0.15 0.06
H -0.281100 -1.340222 -0.561125 -0.04 0.13 -0.21
H -1.502950 -1.089478 0.638192 -0.25 -0.02 0.09
H -1.126663 -3.486822 -0.510954 -0.26 0.00 -0.09
H 0.279946 -3.545954 0.493343 0.20 -0.16 -0.19
H -0.824366 -4.243890 2.318442 0.07 0.14 0.32
H -2.113676 -4.574117 1.210648 -0.05 -0.30 0.09
H -2.750972 -3.391558 3.283371 -0.32 0.02 0.16
H -2.018931 -1.929882 2.694250 0.24 0.07 -0.21
H -4.476644 -3.217036 1.944027 0.39 -0.36 0.07
H -4.492799 -1.335748 3.872511 -0.25 -0.42 -0.10
H -5.875596 -1.393199 2.956625 -0.15 0.55 -0.09
H -3.223316 0.391462 1.297159 -1.01 0.69 0.31
H -4.190234 -0.420290 0.092683 1.11 -0.54 -0.29
C 0.735517 4.699992 -2.537891 0.03 0.03 0.01
........

Mozilla's documentation has a great overview of WebAssembly concepts. There's also an approachable series of WebAssembly articles on Mozilla Hacks. I'll try to summarize:

WebAssembly formats

WebAssembly defines two formats:

The WebAssembly Binary Toolkit contains tools for converting between these formats. Specifically, wat2wasm is analogous to a very simple assembler, and wasm2wat to a disassembler.

WebAssembly browser interface

Within the browser, WebAssembly currently needs to be loaded using JavaScript (it sounds like there are plans to support loading using script tags and import statements in the future). Sadly, as of today, the recommended way to load WebAssembly (WebAssembly.instantiateStreaming()) is only supported by 75% of browsers. The more broadly supported WebAssembly.instantiate() seems cumbersome. I'm hopeful that WebAssembly's ergonomics will improve, but I suppose this is just the price you pay when using new technology.

Next steps

Armed with the above information, I think I'm ready to dive in and test out WebAssembly with a trivial example. I'll report my findings in a subsequent update.